Leveraging SaltStack to Scale Couchbase
Editor's note: This blog has been updated.
## Materials data, as found in the file
Entry 1:
Nd6YCd2 after structural relaxation. Source: the Alexandria database, functional GGA-PBE.

- Excess energy over the best structure of this formula in the dataset: 68.9 meV/atom
- DFT formation energy: -68 meV per atom
- Crystal system: monoclinic
- Size of the total moment: 0.0 μB/f.u.

a b c (Å): 15.7461 11.7395 6.2522
angles (deg): 90.00 95.79 90.00
Last column: nearest neighbours and their distance in Å.
Space group C2/c (No. 15)
Unique sites:
Nd 0.0570 0.1261 0.0094 (multiplicity 8)  3 Cd 3.25-3.48, 4 Nd 3.31-3.54
Nd 0.1177 0.3486 0.3126 (multiplicity 8)  2 Cd 3.22-3.44, 3 Nd 3.31-3.57, 2 Y 3.50-3.51
Nd 0.2238 0.3726 0.8360 (multiplicity 8)  3 Cd 3.35-3.43, 5 Nd 3.49-3.67, 1 Y 3.52
Y 0.0000 0.3979 0.7500 (multiplicity 4)  10 Nd 3.50-3.85
Cd 0.1642 0.1228 0.5923 (multiplicity 8)  8 Nd 3.22-3.48



Entry 2:
Nd3Y4Cd after structural relaxation. Source: the Alexandria database, functional GGA-PBE.

- DFT formation energy: -76 meV per atom
- Crystal system: tetragonal
- Size of the total moment: 0.0 μB/f.u.

a b c (Å): 3.6351 3.6351 19.3600
angles (deg): 90.00 90.00 90.00
Last column: nearest neighbours and their distance in Å.
Space group P4/mmm (No. 123)
Unique sites:
Nd 0.0000 0.0000 0.0000 (multiplicity 1)  8 Y 3.63, 4 Nd 3.64
Nd 0.0000 0.0000 0.2644 (multiplicity 2)  8 Y 3.62-3.63, 4 Nd 3.64
Y 0.5000 0.5000 0.1322 (multiplicity 2)  8 Nd 3.63, 4 Y 3.64
Y 0.5000 0.5000 0.3959 (multiplicity 2)  4 Cd 3.27, 4 Nd 3.62, 4 Y 3.64
Cd 0.0000 0.0000 0.5000 (multiplicity 1)  8 Y 3.27, 4 Cd 3.64



Entry 3:
Nd6Y8Cd after structural relaxation. Source: the Alexandria database, functional GGA-PBE.

- DFT formation energy: 73 meV per atom
- Crystal system: trigonal
- Size of the total moment: 0.0 μB/f.u.

a b c (Å): 9.6106 9.6106 6.3072
angles (deg): 90.00 90.00 120.00
Last column: nearest neighbours and their distance in Å.
Space group P-3 (No. 147)
Unique sites:
Nd 0.0906 0.4558 0.1930 (multiplicity 6)  1 Nd 3.34, 6 Y 3.46-3.71
Y 0.0401 0.2606 0.6967 (multiplicity 6)  1 Cd 3.02
Y 0.3333 0.6667 0.6871 (multiplicity 2)  3 Y 3.49, 9 Nd 3.71-3.87
Cd 0.0000 0.0000 0.0000 (multiplicity 1)  6 Y 3.02



Entry 4:
Nd4Y2Cd after structural relaxation. Source: the Alexandria database, functional GGA-PBE.

- DFT formation energy: 28 meV per atom
- Crystal system: monoclinic
- Size of the total moment: 0.0 μB/f.u.

a b c (Å): 16.8794 3.5672 8.7141
angles (deg): 90.00 117.62 90.00
Last column: nearest neighbours and their distance in Å.
Space group C2/m (No. 12)
Unique sites:
Nd 0.0828 0.0000 0.2034 (multiplicity 4)  5 Nd 3.35-3.65, 3 Y 3.40-3.50, 1 Cd 3.46
Nd 0.1304 0.5000 0.8899 (multiplicity 4)  2 Cd 3.56, 6 Nd 3.57-3.75, 3 Y 3.60-3.70
Y 0.2162 0.0000 0.6391 (multiplicity 4)  1 Cd 3.27, 5 Nd 3.40-3.60, 4 Y 3.57-3.60
Cd 0.0000 0.0000 0.5000 (multiplicity 2)  2 Y 3.27, 6 Nd 3.46-3.56, 2 Cd 3.57



Entry 5:
Nd3Y3Cd2 after structural relaxation. Source: the Alexandria database, functional GGA-PBE.

- DFT formation energy: -84 meV per atom
Our caching layer at LinkedIn is responsible for serving massive amounts of data at low latencies, making it an important part of ensuring a quality experience for our members. One of the key aspects of our caching layer is Couchbase, which accomplishes this feat in a robust and resilient way. Many engineers at LinkedIn leverage Couchbase to meet the needs of a demanding technology stack. For instance, here is an example of a Couchbase cluster that serves one of the highest-performing critical backend services at LinkedIn.
Figure 1: Aggregate QPS of Couchbase Cluster
Figure 2: Average Response Time of Client GET Calls
This cluster sustains about a combined 8,000 QPS workload and provides responses on an average of about 1 millisecond. Clients of this Couchbase cluster receive data with impressive speed, an advantage that pays dividends for downstream services that also depend on this data being accessed quickly. Many of our services require 95th percentile latencies on the order of milliseconds.
With more than 300 clusters running Couchbase, and with some clusters taking over 1 million QPS, the need for automation and tooling to help integrate Couchbase into our ecosystem became overwhelming. We needed the ability to build and scale both new and existing clusters quickly and reliably.
We chose to accomplish the buildout and scaling of Couchbase by leveraging SaltStack, an open-source automation and orchestration platform. At LinkedIn, we run SaltStack on all of our production hosts, which means tens of thousands of nodes. Written in Python, SaltStack is an open-source platform that provides the following features:
- Configuration Management
- State Definition and Enforcement
- Orchestration and Remote-command Execution
- Efficiency and Scalability, via a high-speed communication bus
To better explain how we use SaltStack at LinkedIn, let’s start by defining some Salt-specific terminology:
- A Salt Master is a central host that manages hosts that run agents, called Salt Minions.
- The method of configuration management provided by Salt consists of Pillars and Grains.
- A Salt Runner is an application of convenience executed by the Salt-run command on the Salt Master.
- An Execution Module is similar to a Salt Runner, except it is executed on the Minion host.
- Range is a distributed metadata store that contains information about clusters of hosts.
Our automation for Couchbase is essentially a combination of a runner and an execution module that contains the necessary logic to build, deploy, automate, and scale our Couchbase infrastructure. Our runner allows the user to perform the following operations:
- Setup Cluster: Build a Couchbase cluster (including buckets) with provided metadata
- Expand Cluster: Increase Couchbase cluster size and membership
- Reduce Cluster: Decrease Couchbase cluster size and membership
- Uninstall: Completely remove Couchbase and all data
Executing our runner looks like any other Salt Runner. We only require one argument, which is the range cluster:
Figure 3: Salt Runner Output for Setup Cluster
Pillars provide an interface for storing global data that can also be passed to minion hosts. The information that is transferred via the Pillar interface is guaranteed to be delivered only to the minions being targeted. We also make use of Salt’s GPG rendering system to encrypt/decrypt Pillar data that is sensitive or otherwise should not be stored in plaintext, such as the administrator Couchbase password. To help explain how our Pillar data is organized and how setup_cluster operates, I’ve included this example couchbase_pillar, which uses YAML formatting:
Figure 4: Sample Couchbase Pillar (ifattah_couchbase_9999.sls File)
We also allow our Pillar interface to query Range for metadata that historically doesn’t exist in Salt, such as the list of hosts on which we will operate. You’ll notice that some metadata is duplicated in both the Pillar above and Range files below. In our case, Range takes precedence over values specified in the Pillar. However, our automation also functions perfectly well without any Range metadata at all. For instance, you could replace host_range above with a list of hosts and you’d still be able to build/install a Couchbase cluster, with the same buckets as well.
Figure 5: Sample Range Metadata
No explanation of how we use SaltStack would be complete without mentioning grains. Grains are metadata that is associated with the hosts running Salt Minions. Examples of the kind of data that you might find stored in grains for a given host include: OS version, kernel version, and total memory in the system. In our case, we use the ‘mem_total’ grain to calculate how much RAM to allocate to the Couchbase process. From that amount, Couchbase buckets are sized based on the client’s requirements and the use case. This also guarantees a consistent amount of RAM overhead for critical functionality like maintaining read/write disk queues in timely manner.
In another example, we set the grain ‘couchbase_cluster’ to ensure that the correct cluster’s admin password is being accessed. In this grain, we store the name of the SLS file whose contents are shown in our example couchbase_pillar above (see Fig. 4). When the Pillar is rendered, our sensitive Pillar data is only targeted by minions that have this grain set. In other words, only the Couchbase host being worked on will have access to this particular cluster’s admin password. When our runner is executed, we obtain the list of hosts from Range, set the grain value and use it to retrieve the resultant Pillar data (which comes from a combination of rendering the Pillar and querying Range metadata).
In short, any metadata we require to build a Couchbase cluster can come from our Salt Pillar, our Range metadata, or a combination of both.
Salt’s state system is used to automate and enforce the deployment of systems. We use states to make sure all of our Couchbase clusters are built in a consistent way. While our Salt states are templatized for various reasons, I’ve included a simple, generic Salt state that describes what the host looks like after having this state enforced:
- Creates local ‘Couchbase’ user and group
- Creates location for Couchbase data to be stored
- Installs RPM based on supplied version (a hard-coded version is shown below)
- Checks that the service is running after installation
- Not shown: Method for calculating how much RAM to allocation to Couchbase
Figure 6: Simplified Salt State for Couchbase Installation
As our runner executes this state for the list of hosts provided via Range, we must also construct and execute a series of Couchbase commands to ensure the cluster is configured completely as described by our metadata. These operations include:
- Create Couchbase (or memcache) buckets with given name and sizes
- Provide SASL support and password (if specified)
Next to the entry, the page also holds data records >
┌──
Zr2BeSnC | PBE | relaxed

Structure (extended XYZ):
```
5
Lattice="4.733 0.000 0.000 0.000 4.733 0.000 0.000 0.000 3.644" Properties=species:S:1:pos:R:3 pbc="T T T"
Zr 0.000 2.367 0.000
Zr 2.367 0.000 0.000
Be 0.000 0.000 1.822
Sn 2.367 2.367 1.822
C 0.000 0.000 0.000
```

DFT total energy = -7.146 eV per atom
DFT formation energy = -0.34 eV per atom

~~~~~

DFT (PBE-GGA) results for a geometry-optimized KBH3 structure. Values from VASP.

Summary:
- volume (Å³ per cell) = 149
- total energy (eV/atom) = -3.677
- offset from the most stable computed form (kJ/mol of atoms) = 0.0

Quantum ESPRESSO input file:
```
&SYSTEM
  ibrav = 0, nat = 10, ntyp = 3
/
ATOMIC_SPECIES
K 39.10 K.upf
B 10.81 B.upf
H 1.01 H.upf
ATOMIC_POSITIONS crystal
K 0.7830 0.7830 0.7830
K 0.2830 0.2830 0.2830
B 0.0434 0.0434 0.0434
B 0.5434 0.5434 0.5434
H 0.1971 0.7507 0.1971
H 0.1971 0.1971 0.7507
H 0.7507 0.1971 0.1971
H 0.6971 0.6971 0.2507
H 0.6971 0.2507 0.6971
H 0.2507 0.6971 0.6971
CELL_PARAMETERS angstrom
-5.4165 6.2731 -0.4718
-6.3173 4.0486 3.5514
-2.7673 7.0952 3.3034
```

=====

DFT (PBE-GGA) results for a geometry-optimized KB5H5 structure. Values from VASP.

Summary:
- volume (Å³ per cell) = 991
- total energy (eV/atom) = -4.980

Quantum ESPRESSO input file:
```
&SYSTEM
  ibrav = 0, nat = 88, ntyp = 3
/
ATOMIC_SPECIES
K 39.10 K.upf
B 10.81 B.upf
H 1.01 H.upf
ATOMIC_POSITIONS crystal
K 0.7376 0.3694 0.5579
K 0.7624 0.8694 0.9421
K 0.2624 0.6306 0.4421
K 0.2376 0.1306 0.0579
K 0.7720 0.4669 0.1583
K 0.7280 0.9669 0.3417
K 0.2280 0.5331 0.8417
K 0.2720 0.0331 0.6583
B 0.8514 0.1774 0.8617
B 0.6486 0.6774 0.6383
B 0.1486 0.8226 0.1383
B 0.3514 0.3226 0.3617
B 0.4732 0.2816 0.8729
B 0.0268 0.7816 0.6271
B 0.5268 0.7184 0.1271
B 0.9732 0.2184 0.3729
B 0.5882 0.3657 0.7856
B 0.9118 0.8657 0.7144
B 0.4118 0.6343 0.2144
B 0.0882 0.1343 0.2856
B 0.6165 0.2657 0.9932
B 0.8835 0.7657 0.5068
B 0.3835 0.7343 0.0068
B 0.1165 0.2343 0.4932
B 0.5998 0.1439 0.8999
B 0.9002 0.6439 0.6001
B 0.4002 0.8561 0.1001
B 0.0998 0.3561 0.3999
B 0.6618 0.3913 0.9115
B 0.8382 0.8913 0.5885
B 0.3382 0.6087 0.0885
B 0.1618 0.1087 0.4115
B 0.6388 0.2184 0.7794
B 0.8612 0.7184 0.7206
B 0.3612 0.7816 0.2206
B 0.1388 0.2816 0.2794
B 0.8658 0.2983 0.9547
B 0.6342 0.7983 0.5453
B 0.1342 0.7017 0.0453
B 0.3658 0.2017 0.4547
B 0.8254 0.3282 0.8178
B 0.6746 0.8282 0.6822
B 0.1746 0.6718 0.1822
B 0.3254 0.1718 0.3178
B 0.7923 0.1593 0.9876
B 0.7077 0.6593 0.5124
B 0.2077 0.8407 0.0124
B 0.2923 0.3407 0.4876
H 0.9775 0.1177 0.8260
H 0.5225 0.6177 0.6740
H 0.0225 0.8823 0.1740
H 0.4775 0.3823 0.3260
H 0.5384 0.2829 0.0740
H 0.9616 0.7829 0.4260
H 0.4616 0.7171 0.9260
H 0.0384 0.2171 0.5740
H 0.2963 0.2827 0.8750
H 0.2037 0.7827 0.6250
H 0.7037 0.7173 0.1250
H 0.7963 0.2173 0.3750
H 0.5209 0.4321 0.7211
H 0.9791 0.9321 0.7789
H 0.4791 0.5679 0.2789
H 0.0209 0.0679 0.2211
H 0.6098 0.1654 0.6990
H 0.8902 0.6654 0.8010
H 0.3902 0.8346 0.3010
H 0.1098 0.3346 0.1990
H 0.0035 0.3446 0.0015
H 0.4965 0.8446 0.4985
└──
- Rebalance cluster after bucket creation (and poll for successful completion)
- Create a read-only account for stats gathering
- Enable auto-failover timeout (If a host doesn’t respond to a heartbeat after 120 seconds, it is marked as failed and a rebalance of your cluster occurs)
Most of the logic necessary to perform these post-installation commands exists in our runner. However, our module that is executed on the minion must construct all of the necessary couchbase-cli commands and REST API parameters that are needed to fully build a Couchbase cluster. We must also consider the nuances between different versions of Couchbase, since we support versions ranging from 2.2.0 to 3.0.1. In the case of expand_cluster and reduce_cluster, we automated extra checks to ensure the cluster (and the critical parts of the site) remain available.
- Expanding Couchbase clusters is generally safe, but requires a calculation of how much memory to allocate to the Couchbase process.
- Reducing clusters requires that we have enough overhead to sustain incoming traffic while the cluster is being reduced and cluster membership is changed.
Record 1
The following is a DFT calculation (PBE) of an optimized crystal structure of Nd4Y3Tm4.

Output
- ΔE to the lowest computed polymorph: 0.00 eV per formula unit
- E_form: 0.03 eV per atom
- N(E_F): 1.5368 states/eV per atom

Cell lengths 3.5935, 5.5988, 18.3016 Å; angles 98.79, 95.58, 90.00 degrees
Space group P-1 (No. 2)
Unique sites:
Nd  0.0540  0.0529  0.1049 (multiplicity 2)
Nd  0.1784  0.6775  0.3548 (multiplicity 2)
Y  0.3525  0.8536  0.7076 (multiplicity 2)
Y  0.5000  0.5000  0.0000 (multiplicity 1)
Tm  0.2354  0.2353  0.4705 (multiplicity 2)
Tm  0.4054  0.4071  0.8149 (multiplicity 2)

Record 2
The following is a DFT calculation (PBE) of an optimized crystal structure of Nd7Y3Tm2.

Output
- ΔE to the lowest computed polymorph: 2.25 eV per formula unit
- E_form: 0.28 eV per atom
- N(E_F): 1.6498 states/eV per atom

Cell lengths 6.6249, 6.6249, 33.5456 Å; angles 90.00, 90.00, 120.00 degrees
Space group R-3m (No. 166, hexagonal axes)
Unique sites:
Nd  0.0000  0.0000  0.0000 (multiplicity 3)
Nd  0.0078  0.5039  0.4159 (multiplicity 18)
Y  0.0000  0.0000  0.3486 (multiplicity 6)
Y  0.0000  0.0000  0.5000 (multiplicity 3)
Tm  0.0000  0.0000  0.1656 (multiplicity 6)

Record 3
The following is a DFT calculation (PBE) of an optimized crystal structure of Nd2YTm4.

Output
- ΔE to the lowest computed polymorph: 0.00 eV per formula unit
- E_form: 0.08 eV per atom
- N(E_F): 1.6323 states/eV per atom

Cell lengths 6.0049, 8.5042, 9.8670 Å; angles 85.18, 72.41, 69.42 degrees
Space group P1 (No. 1)
Unique sites:
Nd  0.0000  0.0000  0.0000 (multiplicity 1)
Nd  0.0097  0.9307  0.3611 (multiplicity 1)
Nd  0.1906  0.4996  0.5001 (multiplicity 1)
Nd  0.2997  0.0679  0.6385 (multiplicity 1)
Y  0.1913  0.5665  0.1359 (multiplicity 1)
Y  0.8936  0.4332  0.8637 (multiplicity 1)
Tm  0.3690  0.6435  0.7751 (multiplicity 1)
Tm  0.4006  0.1463  0.2741 (multiplicity 1)
Tm  0.4450  0.2145  0.9207 (multiplicity 1)
Tm  0.5804  0.7853  0.0789 (multiplicity 1)
Tm  0.6164  0.7114  0.4214 (multiplicity 1)
Tm  0.7484  0.2875  0.5786 (multiplicity 1)
Tm  0.7887  0.3563  0.2246 (multiplicity 1)
Tm  0.8200  0.8531  0.7253 (multiplicity 1)

Record 4
The following is a DFT calculation (PBE) of an optimized crystal structure of Nd5Y5Tm2.

Output
- E_form: 0.02 eV per atom
- N(E_F): 1.4261 states/eV per atom

Cell lengths 15.2785, 5.0970, 11.3972 Å; angles 90.00, 116.59, 90.00 degrees
Space group C2/m (No. 12)
Unique sites:
Nd  0.0000  0.0000  0.0000 (multiplicity 2)
Nd  0.0824  0.0000  0.7499 (multiplicity 4)
Nd  0.1665  0.0000  0.4997 (multiplicity 4)
Y  0.0000  0.5000  0.5000 (multiplicity 2)
Y  0.1666  0.5000  0.0009 (multiplicity 4)
Y  0.2482  0.0000  0.2480 (multiplicity 4)
Tm  0.0835  0.5000  0.2498 (multiplicity 4)

Record 5
The following is a DFT calculation (PBE) of an optimized crystal structure of NdY7Tm2.

Output
- ΔE to the lowest computed polymorph: 0.00 eV per formula unit
- E_form: 0.22 eV per atom
- N(E_F): 1.9933 states/eV per atom
- In both cases, we validate that the status of each host being added and the remaining hosts are healthy, all while the cluster continues to receive incoming requests.
Last but not least, I want to touch briefly on the execution path and event bus employed by Salt:
Figure 7: Execution Path Used by Salt
The event bus employed by Salt ensures the reliable creation and execution of Salt jobs on a set of hosts. As an example, Salt’s event bus plays an integral role in LinkedIn’s continuous delivery deployment model, as well as the automatic remediation of alerts. As shown in Figure 7:
User executes a Salt command via the CLI. Interrogation of the command is performed and the primary generates a targeted list of expected minions to return.
If the command is correct, then a work thread is created to process the request. The command is then published on the publisher port of 4505.
All minions receive the published command because each is listening on port 4505 on the primary. However, only minion hosts that match the targeting criteria from Step 1 will process the request.
In a self-electing process, the minion host will process the incoming request only if it matches the targeting criteria. If there is a positive match, the minion will fork a process, enabling the incoming request to be processed asynchronously.
The minion retrieves resources from the primary that are not already locally cached, such as SLS files, Pillar data and execution modules.
The minion calls the Salt function and executes the request.
The minion then sends the result to the local event bus and back to the Salt Master on port 4506.
Once the data transfer is returned to the primary, a router/dealer pattern is used to allocate worker threads to prevent blocking, since a primary can have thousands of minions responding at the same time.
The workers process each request from the minion and do any post-processing necessary.
The publisher listens to the event bus to determine what to publish.
The minions listening to the primary's event bus will also see the result of the primary's event from the publish port.
- The CLI from Step 1 will display the return data as it is received.
Salt provides important value to us at LinkedIn by enabling us to quickly and dynamically provision caching layers for many of the services that make up our site. It provides us with a versatile platform for automation and orchestration whose potential is virtually limitless.
The Couchbase Virtual Team at LinkedIn is currently supported by individual contributors across different SRE and Engineering teams who bring their unique use cases and solutions to the team. We are building the Salt integration so that it could be released as open source if there is sufficient public interest. If you’re interested in learning more, please reach out to me.